The Boyle’d Pot 9/10/’20
Local examples of why we are in Level 3
The Level 3 lockdown has overtaken the weather as the most talked about subject in Ireland this week. As the blame game continues and we question the behaviour of a few, below we list a number of ‘local’ examples of why we have got to this stage in the first place:
* At a recent funeral in Boyle, people in the car park were observed making every effort to get up close to the family of the deceased, waiting on the opportunity to make eye contact so they could shake their hands. In addition, there was a scramble to be among the numbers to get into the Church for the service. Why not sign the book or give your condolences online and show your sympathy that way?
* During the weekend, while passing through a neighboring town late in the evening, a group were seen heading to an establishment with their birthday balloons held high and looking like they were not on their way for their first drink. Why hold a birthday party in the middle of a pandemic, especially after all the consequences of another birthday party locally?
* We all have seen the large crowds that have attended football matches and the celebratory hugs and handshakes after. We are all fully aware of the after match celebrations and the drowning of the sorrows in public houses. Why were these situations allowed to happen?
* An organiser of a gathering here in Boyle, that was socially distant and adhering to all the rules, told of their need to call back about 80% of those entering the venue to sanatise their hands, despite signs at the entrance and large on wall dispensers visible. If people are not sanatising their hands entering an establishment what hope have we of controlling this virus?
* During our initial lockdown, the house parties continued here in Boyle and all over the country with those who organised and those who attended, in effect, putting the two fingers up at the frontline workers and the people who were adhering to the rules. The house parties were still being held last weekend and will most likely go ahead this weekend. Will you be stupid enough to host one or attend one over the next 3 weeks?
The above are just a few examples, along with greed, basic common sense, lack of respect and selfishness that have led to us entering Level 3. If we do not make an effort to limit our social contacts, wear our mask, wash our hands regularly, stay within our county boundary and adhere to all the current restrictions to flatten this curve, we will most definitely be entering level 4 or 5 on October 27th if not sooner.
Boyle pick up point for anti mask protest march
There has been some concern locally at Boyle being included as a ‘collection point’ for a bus travelling to a protest march in Dublin last Saturday. Advertised as a “Covid Free St Patrick’s Day Parade”, the march was organised by an group called “Health Freedom Ireland’ and supported by Yellow Vest Ireland. In reality the ‘parade’ was an anti mask protest. While it is accepted that everyone has a right to protest, the concern has arisen that, when Dublin was in level 3 lockdown, a number of people from Boyle thought it acceptable to head to the capital on a bus that was advertised as ‘a private bus with 50 seats with no compulsory masks”. Many would feel this is totally unacceptable. The said protest was attended by ‘hundreds of people’ who according to an RTE report “Marched across the city centre to Grafton Street, where they staged a sit down protest and chanted “no more lockdown” and “no more masks”. “Some of the protesters chanted “take off your masks” as they marched up Grafton Street past shoppers and other pedestrians”. See the report here.
The bus trip received some angry comments from listners on Ocean FM’s North West Today show last Monday morning.
The need to ‘keep it local’ during Level 3
There are a number of differences between the current restrictions and the initial lockdown at the start of the year. One difference is the ability to travel within one’s county and here in Boyle we are blessed to have beautiful areas on our doorstep in which to travel and exercise – especially to have Lough Key Forest Park right here in Boyle, Co. Roscommon. It will be interesting to see if the Park is frequented only by those from County Roscommon during this lockdown or will people from neighbouring counties travel there as they did previously. Another aspect of this lockdown that we should encompass is the need to stay local and therefore shop local. If the people of Boyle and surrounding areas (within the county) shopped predominantly in Boyle for the next three weeks, not just for groceries but all other necessities and dare we say it – Christmas gifts, just think of the boost that would give our local economy.
Boyle is NOT a Covid ‘hot spot’
The inclusion of Boyle as a ‘hot spot’ for Covid-19 in this morning’s Irish Times is damaging for the town and factually incorrect ( see article here). Boyle, per se, is not a ‘hot spot’. The Boyle Local Electoral Area is and that large area spreads from Lough Allen to Strokestown and Ballaghderreen across to Tarmonbarry with a population of 21,831. Boyle is only a small town from which the LEA gets it’s name and as we all know, the main clusters of Covid are not in Boyle but in other areas of the LEA. (This morning we have posted the fact that Boyle is not a Covid hotspot on the Irish Times Facebook page)
Farewell to a great local character
The sudden death took place on Monday last of one of the great local characters of the area – Tom Regan. The name Tom Regan may mean nothing to many of you but when we published his photograph on our Facebook feed on Wednesday evening (courtesy of Tony Murphy Photography), straight away he became known to the many people whom he endeared himself to. Tom was a ‘regular’ on the Boyle to Gurteen road, in his oversized fluorescent yellow jacket, that had seen better days. With a slight stoop and a cigarette in his hand, Tom had a face that told a million stories and was a frequent visitor to Boyle where he enjoyed a few pints in the various local licensed premises and a chat with anyone who took the time to greet him. Described as ‘a great character’ and ‘one of life’s gentlemen’ by those who knew him, Tom was origionally from Shraugh, Cloonloo but lived in Shannon Drive, Gurteen where he died suddenly last Monday. Tom Regan is survived by his brothers Christy, Pat and Willie and he was laid to rest in Knockbrack cemetery yesterday (Thursday) morning.
Majority in favour of Town Centre Enhancement plan
The weekly poll here on the homepage of asks the question “Do you think the planned Town Centre Enhancement project will benefit Boyle”. The response to date has been a resounding ‘yes’ with 73% saying they think it will benefit Boyle while 27% think it will not. The plans for the multi million euro enhancement project are currently on display at Boyle Council Offices and online.
TII counters show traffic decreasing on N4
One of the key indicator to see if travel restrictions are being adhered to is the Traffic Infrastructure Ireland Traffic Counter data. The most locally relevant statistical point for this area is on the N4 at Usna between Boyle and Carrick on Shannon. Yesterday (Thursday) the 24 hour traffic volume on this stretch of road was 6197 vehicles. By comparison, seven days previously, on Thursday October 1st, 7433 vehicles past this spot. The figures for Tuesday last, the day before restrictions, was 7395 and on Wednesday – the day restrictions were imposed – 5822 – a drop of 1573 vehicles.
Wise words of the week
We have said it before here in the Boyle’d Pot and we will say it again – We are so lucky to have a facility like the Family Resource Centre right here on our doorstep in Boyle. The people who work in the Centre have really shone during the current pandemic and their Facebook posts and wise words are a daily inspiration for many. Below are some of those wise words that they published in a post this week:
- Respect the restrictions.
- Say no to invitations if not within the guidelines.
- Leave a situation if it’s not safe.
- Mind yourself & others.
- People spread COVID.
- Stay in your county unless essential to leave.
- Support your local businesses.
- Wear your mask
- Wash your hands.
- Be kind.
- Think of others.
We have been give a chance, a reprieve to try and get control of COVID.
None of us know how we will suffer if we were to get COVID.
It’s a chance none of us should be taking.
“The spirit of community, of caring for others, lies at the heart of what’s best in the Irish character. Now, as much as ever before, we have to recommit ourselves to this spirit. Ní neart go cur le chéile.” Taoiseach M Martin.
Most important is that we all stay safe, stay physically distanced, socially connected and be kind.
And finally….!
-- Next to the article, the page also holds records of crystals --
........
Compound: La3BiRu
Source: Alexandria via LeMat-Bulk
Functional: PBE
Structure: optimized geometry

extended XYZ file:
```
10
Lattice="4.639 0.000 6.730 -2.320 4.018 6.730 -2.320 -4.018 6.730" Properties=species:S:1:pos:R:3 pbc="T T T"
La 2.426 1.278 11.778
La 2.320 -1.462 8.413
La -0.106 -2.740 11.778
La 0.106 2.740 8.413
La -2.320 1.462 11.778
La -2.426 -1.278 8.413
Bi 0.000 0.000 10.095
Bi 0.000 0.000 0.000
Ru 0.000 0.000 15.143
Ru 0.000 0.000 5.048
```

Properties
energy of formation from the pure elements = -5.43 kcal/mol of atoms
crystal system = trigonal
magnetization = 0.0000 μB/atom
energy = -5.82 eV/atom
density = 6.4 g/cm3

***

Compound: LaSnBi2Ru
Source: Alexandria via LeMat-Bulk
Functional: PBE
Structure: optimized geometry

extended XYZ file:
```
5
Lattice="5.690 0.000 0.000 0.000 5.950 0.000 0.000 0.000 5.690" Properties=species:S:1:pos:R:3 pbc="T T T"
Bi 2.845 0.000 0.000
Bi 0.000 0.000 2.845
Sn 0.000 0.000 0.000
La 0.000 2.975 0.000
Ru 2.845 2.975 2.845
```

Properties
energy of formation from the pure elements = 26.19 kcal/mol of atoms
crystal system = tetragonal
magnetization = 0.5255 μB/atom
energy = -4.06 eV/atom
density = 6.7 g/cm3

***

Compound: La2VBiRu
Source: Alexandria via LeMat-Bulk
Functional: PBE
Structure: optimized geometry

extended XYZ file:
```
5
Lattice="-4.367 -2.585 -2.356 2.697 -3.559 -1.094 -1.209 -2.421 4.896" Properties=species:S:1:pos:R:3 pbc="T T T"
Bi -1.439 -4.282 0.723
La -2.183 -1.292 -1.178
La -0.604 -1.211 2.448
V 1.348 -1.779 -0.547
Ru 0.000 0.000 0.000
```

Properties
energy of formation from the pure elements = -1.24 kcal/mol of atoms
crystal system = tetragonal
magnetization = 0.0000 μB/atom
energy = -6.48 eV/atom
density = 7.4 g/cm3

***

Compound: La2YBiRu
Source: Alexandria via LeMat-Bulk
Functional: PBE
Structure: optimized geometry

extended XYZ file:
```
5
Lattice="5.401 0.000 0.000 0.000 5.401 0.000 0.000 0.000 5.487" Properties=species:S:1:pos:R:3 pbc="T T T"
Ru 0.000 0.000 0.000
La 0.000 2.700 0.000
La 2.700 0.000 0.000
Y 0.000 0.000 2.744
Bi 2.700 2.700 2.744
```

Properties
energy of formation from the pure elements = -11.01 kcal/mol of atoms
crystal system = tetragonal
magnetization = 0.0000 μB/atom
energy = -6.37 eV/atom
density = 7.0 g/cm3

***

Compound: LaZr2BiRu
Source: Alexandria via LeMat-Bulk
Functional: PBE
Structure: optimized geometry

extended XYZ file:
```
5
Lattice="5.094 0.000 0.000 0.000 5.809 0.000 0.000 0.000 5.094" Properties=species:S:1:pos:R:3 pbc="T T T"
Ru 2.547 2.905 2.547
La 0.000 0.000 0.000
Zr 0.000 0.000 2.547
Zr 2.547 0.000 0.000
Bi 0.000 2.905 0.000
```

Properties
energy of formation from the pure elements = 43.55 kcal/mol of atoms
crystal system = tetragonal
magnetization = 0.0022 μB/atom
energy = -5.15 eV/atom
density = 7.0 g/cm3

***

Compound: LaBiS
Source: Alexandria via LeMat-Bulk
Functional: PBE
Structure: optimized geometry

extended XYZ file:
```
6
........
Angus Mc Tavish phones the dental surgery. ‘Can ye tell me how much forrr an extraction.’
Next to the article, the page also holds crystal structures:
____________
The following is a DFT calculation (PBE) of an optimized crystal structure of Ti5Co2.

The structure in extended XYZ format:
```
14
Lattice="6.782 -2.840 0.000 6.782 2.840 0.000 -0.260 0.000 5.565" Properties=species:S:1:pos:R:3 pbc="T T T"
Ti 6.586 2.719 4.174
Ti 2.999 0.285 1.475
Ti 2.868 -0.285 4.257
Ti 5.544 0.750 0.136
Ti 7.889 0.750 2.647
Ti 5.414 -0.750 2.918
Ti 7.759 -0.750 5.429
Ti 10.434 0.285 1.308
Ti 10.304 -0.285 4.090
Ti 6.716 -2.719 1.391
Co 5.109 1.508 2.649
Co 8.324 1.508 0.133
Co 4.979 -1.508 5.432
Co 8.194 -1.508 2.915
```

Computed properties:
The formation enthalpy at 0 K is -191 meV per atom. As for the space group: C2/c. For the raw total energy, the calculation gives -110.0 eV per cell. For the total magnetization, the calculation gives 0.00 μB per formula unit.

The following is a DFT calculation (PBE) of an optimized crystal structure of Ti3Co2.

The structure in extended XYZ format:
```
15
Lattice="3.757 2.169 4.402 -3.757 2.169 4.402 0.000 -4.338 4.402" Properties=species:S:1:pos:R:3 pbc="T T T"
Ti 0.000 0.000 0.000
Ti -0.815 -1.532 5.384
Ti 0.000 0.000 2.862
Ti -1.734 -0.060 7.822
Ti -0.919 1.472 5.384
Ti 0.919 -1.472 7.822
Ti 1.734 0.060 5.384
Ti 0.000 0.000 10.344
Ti 0.815 1.532 7.822
Co -2.956 0.145 5.669
Co -1.604 -2.488 7.537
Co 1.352 -2.633 5.669
Co -1.352 2.633 7.537
Co 1.604 2.488 5.669
Co 2.956 -0.145 7.537
```

Computed properties:
The formation enthalpy at 0 K is -250 meV per atom. As for the space group: R-3. For the raw total energy, the calculation gives -117.4 eV per cell. For the total magnetization, the calculation gives 0.00 μB per formula unit.

The following is a DFT calculation (PBE) of an optimized crystal structure of Ti3Co2.

The structure in extended XYZ format:
```
10
Lattice="2.980 0.000 0.000 0.000 2.980 0.000 0.000 0.000 15.673" Properties=species:S:1:pos:R:3 pbc="T T T"
Ti 0.000 0.000 0.000
Ti 0.000 0.000 2.990
Ti 0.000 0.000 5.950
Ti 0.000 0.000 9.723
Ti 0.000 0.000 12.684
Ti 1.490 1.490 7.837
Co 1.490 1.490 1.504
Co 1.490 1.490 4.430
Co 1.490 1.490 11.243
Co 1.490 1.490 14.169
```

Computed properties:
The formation enthalpy at 0 K is -311 meV per atom. As for the space group: P4/mmm. For the raw total energy, the calculation gives -78.9 eV per cell. For the total magnetization, the calculation gives 0.97 μB per formula unit.

----------

1.
Crystalline CsHg4Te at its relaxed geometry, computed with PBE-GGA.

Cell and atoms, written as POSCAR:
```
CsHg4Te
1.0
0.000 4.670 4.670
4.670 0.000 4.670
4.670 4.670 0.000
Cs Hg Te
1 4 1
Cartesian
0.000 0.000 0.000 Cs
3.515 3.515 3.515 Hg
5.825 5.825 3.515 Hg
5.825 3.515 5.825 Hg
3.515 5.825 5.825 Hg
7.005 7.005 7.005 Te
```

Polymorph energy (0 for the lowest one) (eV per atom): 0.0838
D(E_F) (states/eV per cell): 5.6
Formation energy (no corrections) (meV/atom): -170

***

2.
Crystalline Cs3HgTe at its relaxed geometry, computed with PBE-GGA.

Cell and atoms, written as POSCAR:
```
Cs3HgTe
1.0
7.412 0.000 0.000
0.000 7.412 0.000
____________
The article goes on:
‘The standard charge is £65.00, sir’
‘Och, that’s a wee expensive, lassie.’
‘Well, it’s for the anaesthetic and the wages of the dentist and the dental nurse.’
‘Och, what aboot if we don’t bother with the anaesthetic’?
‘That’s very unusual but if you’re sure, we can reduce the price to £50.00.’
‘Weeeeel, that’s still beyond ma budget, what aboot if one of your trainee dentists performed the extraction by himself?’
‘We could, but as he’s not very experienced so the extraction could be very messy and painful.’
‘Niver mind that, what would it cost in total?’
‘That would be £20.00.’
‘Hmmm, £20.00, you say. And when would yon student be available?’
‘He won’t be in until the college half-term break, which will be next month. How about the 22nd?”
‘Aye, that’ll do.’
‘And what name is it?’
‘Mrs Fiona Mc Tavish.’